percolation Module

A module with procedures for calculating various properties which are interesting when doing numerical percolation experiments.


  • module~~percolation~~UsesGraph module~percolation percolation module~utilities utilities module~percolation->module~utilities module~hk hk module~percolation->module~hk

Used by

  • module~~percolation~~UsedByGraph module~percolation percolation module~randomwalk randomwalk module~randomwalk->module~percolation



TypeVisibility AttributesNameInitial
real(kind=dp), public, parameter:: pc =0.592746

Known critical probability for a two-dimensional site-percolating system.


public function create_binary_matrix(p, L) result(binary_matrix)

Create a random, binary (logical) matrix, which can be used in percolation experiments.


Type IntentOptional AttributesName
real(kind=dp), intent(in) :: p

Probability for each matrix element to be .true..

integer, intent(in) :: L

Return Value logical, dimension(:,:), allocatable

Randomly created matrix, where each element is .true. or .false. if a randomly generated number is smaller or greater than p.

public function find_sizes(labelled_matrix, num_labels) result(sizes)

Count the number of sites belonging to each cluster in the labelled matrix.


Type IntentOptional AttributesName
integer, intent(in), dimension(:,:):: labelled_matrix

Integer matrix with labelled clusters, resulting from the Hoshen-Kopelman algorithm.

integer, intent(in) :: num_labels

The known number of clusters.

Return Value integer, dimension(:), allocatable

Array of cluster sizes. The i'th element is the size of the cluster with label i.

public function find_spanning_cluster(labelled_matrix, num_labels) result(spanning_label)

-- Attached: quantum chemistry results --
<<<
# 1
Below is C45H53CaN10O4Se as an isolated structure, with properties calculated with wB97M-V/def2-TZVPD.

Last column: Löwdin charge in e.
Cartesian coordinates (Å):
Ca -0.995 -1.022 0.161  1.322
O -0.873 -1.350 -1.732  -0.329
C -0.921 -1.425 -3.000  -0.455
C -0.476 -2.568 -3.713  -0.070
C -0.447 -2.604 -5.084  -0.118
C -0.800 -1.486 -5.832  -0.132
C -1.242 -0.351 -5.178  -0.076
C -1.376 -0.328 -3.799  -0.179
C -2.005 0.795 -3.107  -0.142
N -3.094 0.784 -2.455  0.049
C -3.928 -0.395 -2.459  -0.202
C -3.783 -1.307 -1.209  -0.195
N -3.153 -0.640 -0.104  -0.076
C -3.771 0.324 0.443  -0.132
C -3.290 1.126 1.528  -0.157
C -3.993 2.297 1.825  -0.074
C -3.631 3.139 2.852  -0.141
C -2.559 2.772 3.664  -0.121
C -1.860 1.622 3.419  -0.032
C -2.143 0.760 2.313  -0.397
O -1.422 -0.249 2.090  -0.203
H -0.168 -3.420 -3.124  0.109
H -0.126 -3.507 -5.588  0.094
H -0.743 -1.506 -6.911  0.081
H -1.533 0.525 -5.749  0.105
H -1.515 1.772 -3.165  0.102
H -3.750 -1.007 -3.355  0.116
H -4.955 -0.007 -2.506  0.100
H -3.159 -2.164 -1.451  0.102
H -4.786 -1.664 -0.925  0.116
H -4.781 0.603 0.091  0.135
H -4.845 2.553 1.206  0.106
H -4.181 4.051 3.041  0.086
H -2.290 3.395 4.509  0.096
H -1.049 1.330 4.077  0.098
C -1.013 3.985 0.552  -0.050
N 0.156 3.246 0.975  -0.141
C 0.983 3.961 1.916  -0.074
C 0.194 1.872 0.822  -0.449
N -0.405 1.237 -0.096  0.107
N 1.022 1.213 1.714  0.163
C 1.134 -0.182 1.729  -0.541
N 1.262 -0.719 2.988  0.159
N 1.293 -0.815 0.643  0.087
H -1.398 4.572 1.389  0.084
H -1.806 3.308 0.241  0.079
H -0.763 4.660 -0.272  0.086
H 1.124 4.975 1.534  0.090
H 1.960 3.488 1.995  0.069
H 0.512 4.030 2.905  0.087
H -0.957 1.794 -0.732  0.059
H 1.028 1.606 2.646  0.125
H 0.609 -0.330 3.653  0.080
H 1.155 -1.741 2.947  0.059
H 1.362 -1.817 0.810  0.067
O 0.544 -3.329 2.422  -0.020
C -0.565 -3.281 1.859  -0.634
O -0.795 -2.996 0.676  -0.135
C -1.765 -3.623 2.734  -0.161
C -1.724 -4.738 3.608  0.005
C -2.798 -4.993 4.408  -0.018
C -3.902 -4.113 4.375  -0.164
C -5.040 -4.269 5.189  -0.053
C -6.066 -3.367 5.123  -0.102
C -5.994 -2.266 4.255  -0.088
C -4.905 -2.090 3.447  0.001
C -3.838 -3.014 3.475  -0.205
N -2.786 -2.814 2.661  0.196
H -0.846 -5.366 3.615  0.112
H -2.814 -5.840 5.086  0.109
H -5.079 -5.114 5.864  0.105
H -6.939 -3.497 5.747  0.094
H -6.811 -1.557 4.239  0.098
H -4.820 -1.249 2.777  0.104
C 0.751 4.139 -4.149  -0.111
C 1.394 2.830 -4.596  -0.251
C 2.421 2.301 -3.602  -0.191
C 1.807 1.970 -2.243  -0.188
N 2.769 1.334 -1.391  -0.017
C 2.990 -0.011 -1.369  -0.691
Se 2.311 -1.162 -2.548  0.890
N 3.908 -0.267 -0.389  -0.029
C 4.267 -1.574 0.086  -0.166
C 5.618 -2.042 -0.464  -0.182
C 5.528 -2.571 -1.897  -0.286
C 4.767 -3.889 -1.982  -0.127
C 4.265 0.913 0.204  -0.152
C 5.169 1.203 1.209  -0.010
C 5.344 2.538 1.548  -0.106
C 4.636 3.546 0.910  -0.118
C 3.724 3.266 -0.098  -0.029
C 3.545 1.939 -0.444  -0.151
H 0.147 4.565 -4.948  0.066
H 1.515 4.865 -3.876  0.070
H 0.105 3.974 -3.291  0.053
H 1.894 2.989 -5.554  0.104
H 0.628 2.069 -4.743  0.094
>>>

Find the label of the percolating cluster, i.e. the one spanning from one side of the system to the opposing side.


Type IntentOptional AttributesName
integer, intent(in), dimension(:,:):: labelled_matrix

Labelled matrix of clusters from hoshen_kopelman/label.

integer, intent(in) :: num_labels

Known number of clusters.

Return Value integer

Label of the percolating cluster. -1 if no percolating cluster is found.

public function spanning_density(p, L, num_samples)

Density of the spanning/percolating cluster, i.e. the number of sites on the percolating cluster divided by \(L^2\). Averaged over num_samples Monte Carlo samples (with OpenMP).


Type IntentOptional AttributesName
real(kind=dp), intent(in) :: p

The probability for a site to allow transport.

integer, intent(in) :: L

The size of the system.

integer, intent(in) :: num_samples

The number of Monte Carlo samples.

Return Value real(kind=dp)

The number of sites on the spanning cluster divided by \(L^2\).

public function spanning_probability(p, L, num_samples)

Calculate the probability of having a spanning/percolating cluster, given a system size L and probability for a site to have transport p.


Type IntentOptional AttributesName
real(kind=dp), intent(in) :: p

Probability for a site to allow transport.

integer, intent(in) :: L

Size of the system.

integer, intent(in) :: num_samples

Number of Monte Carlo samples.

Return Value real(kind=dp)

The probability of having a percolating cluster, calculated as the number of times a percolating cluster is found, divided by the number of attempts (num_samples).

public function spanning_probability_inverse(x, L, num_samples, tolerance) result(p_x)

Find the inverse of spanning_probability by use of the bisection method.


Type IntentOptional AttributesName
real(kind=dp), intent(in) :: x

The value of spanning_probability for which the inverse is calculated.

integer, intent(in) :: L

Size of the system.

Molecular data from another source follow.
-- begin --
No. 1
A structure of composition C27H36Br4ClN4NiO10P. Source: the OMol25 dataset; level of theory: ωB97M-V with the def2-TZVPD basis set.

Cartesian coordinates (Å):
Ni -0.60471 -1.53054 -0.60389
N -1.55956 -0.00636 0.64700
C -2.53275 -0.55651 1.58277
C -2.71999 0.28500 2.85187
C -2.98069 1.78020 2.63350
C -4.37763 2.14580 2.11260
N -4.77857 1.58538 0.82768
C -4.12549 1.83807 -0.35846
N -3.38993 3.00301 -0.40320
N -4.13853 1.07815 -1.39117
C -2.08102 -2.00213 1.94948
O -2.56905 -2.49318 2.97407
O -1.28603 -2.53584 1.12397
H -0.68542 0.20703 1.11917
H -1.86072 0.84075 0.17995
H -3.47909 -0.69445 1.05767
H -1.80008 0.18109 3.43452
H -3.52014 -0.15378 3.45248
H -2.21751 2.18186 1.96289
H -2.87326 2.29798 3.59216
H -4.45882 3.23647 2.05791
H -5.12699 1.81295 2.83334
H -5.08620 0.62989 0.88643
H -3.62944 3.74533 0.23136
H -3.15030 3.28915 -1.33977
H -4.59988 0.18835 -1.23853
H -2.26198 0.81446 -2.36384
Br 0.15102 2.79143 -6.65547
C 0.30911 1.47198 -5.30646
C 1.34774 0.54820 -5.31382
Br 2.63082 0.60018 -6.70604
C 1.43997 -0.41520 -4.31437
Br 2.85977 -1.65299 -4.25875
C 0.49823 -0.52902 -3.26082
O 0.59297 -1.42163 -2.36287
C -0.57106 0.42574 -3.28975
O -1.44226 0.30684 -2.26099
C -0.63460 1.38927 -4.26480
Br -2.07000 2.64079 -4.18565
Cl 3.10748 -7.42441 0.68833
C 1.89394 -6.45612 -0.12565
C 0.84124 -7.09033 -0.76080
C -0.11718 -6.31669 -1.39827
C -0.05222 -4.92735 -1.38528
C 1.03249 -4.32336 -0.76119
C 2.01042 -5.07968 -0.13096
C -1.21021 -4.17224 -2.06047
O -1.82983 -4.81431 -2.91450
O -1.49403 -2.98536 -1.69857
H 0.77415 -8.17098 -0.75377
H -0.94455 -6.77947 -1.91887
H 1.15562 -3.25479 -0.78197
H 2.85361 -4.60154 0.35055
C 0.52877 3.47345 -1.15188
C 1.12304 3.23739 0.23924
C 2.57740 3.71326 0.29239
C 0.31048 3.99585 1.28402
O 0.98851 1.84959 0.59937
P 1.88642 0.64668 -0.07888
O 2.32878 1.02661 -1.42843
O 1.07951 -0.58404 0.22690
O 3.20083 0.62608 0.87634
C 3.32811 -0.03749 2.14493
C 2.14771 0.24469 3.07706
C 4.60430 0.54340 2.74496
C 3.48623 -1.54336 1.93151
H 0.42967 4.54388 -1.35463
H -0.45525 3.00434 -1.20453
H 1.17037 3.01475 -1.90354
H 2.63503 4.75770 -0.02286
H 3.18792 3.10445 -0.37289
H 2.97106 3.62030 1.30820
H 0.35516 5.06792 1.08006
H 0.70877 3.80653 2.28432
H -0.73411 3.67502 1.26116
H 1.98949 1.32052 3.17645
H 2.34751 -0.18341 4.06161
H 1.24241 -0.20675 2.67276
H 4.48663 1.61768 2.90699
H 5.43689 0.39115 2.05575
H 4.83307 0.06094 3.69791
H 2.59971 -1.92337 1.42706
H 3.61243 -2.05214 2.88984
H 4.35426 -1.73873 1.29806

Values from the calculation:
energy: -398053.310 eV
net charge: -2
spin multiplicity: 3
HOMO level (spin up / spin down): -2.31 / -2.29 eV
frontier orbital gap (spin up / spin down): 6.1 / 6.0 eV
largest force on an atom: 0.7 eV/A

=====

No. 2
A structure of composition C27H36BrFeN6S2Si2 at a distorted geometry. Source: the OMol25 dataset; level of theory: ωB97M-V with the def2-TZVPD basis set.

Cartesian coordinates (Å):
Fe -0.97041 0.33357 -0.38680
N 0.35619 -1.50713 -1.39720
C 0.62639 -1.68173 -2.82000
-- stop --

integer, intent(in) :: num_samples

Number of Monte Carlo samples to use when evaluating spanning_probability.

real(kind=dp), intent(in) :: tolerance

Tolerance of approximation. The return value is within tolerance/2 of the correct (but numerical) value.

Return Value real(kind=dp)

The inverse of spanning_probability. If spanning_probability is denoted \(\Pi(p,L)\), this function returns \(p\) such that \(\Pi(p,L)=x\).


public subroutine label(matrix, labelled_matrix, num_labels)

Alternative interface to the Hoshen-Kopelman algorithm from the hk module, which uses a binary matrix created by create_binary_matrix.


Type IntentOptional AttributesName
logical, intent(in), dimension(:,:):: matrix

Binary matrix where clusters will be identified.

integer, intent(out), dimension(:,:), allocatable:: labelled_matrix

Integer matrix which will store the labels of each cluster. Reallocated if necessary.

integer, intent(out) :: num_labels

Overwritten with the total number of disjoint clusters.

public subroutine cluster_number_density(p, L, num_samples, bin_mids, results, binsize_base)

Calculate the number density of clusters with different sizes. The cluster number density is defined as \begin{equation} n(s,p) = \sum_{\text{MC-samples}} \frac{\text{number of clusters with size }s} {L^2\cdot\text{number of MC-samples}}. \end{equation} Direct calculations will usually give bad results, as there will be very few clusters with large sizes compared to the numbers of clusters with small sizes. This is circumvented by doing logarithmic binning and averaging, i.e. \begin{equation} n\left([s+\Delta s),p\right) = \sum_{\text{MC-samples}} \frac{\text{number of clusters with size }s \in[s,s+\Delta s)} {\Delta s\cdot L^2\cdot\text{number of MC-samples}}, \label{eq:nsp} \end{equation} where \(\Delta s\) are logarithmically distributed. After execution, bin_mids will contain the centres of the bins.


Type IntentOptional AttributesName
real(kind=dp), intent(in) :: p

Probability for a given site to allow transport.

integer, intent(in) :: L

Percolating systems will be \(L\times L\).

integer, intent(in) :: num_samples

Results will be averaged over this number of Monte Carlo-samples. Sampling is parallelised.

real(kind=dp), intent(out), dimension(:), allocatable:: bin_mids

Centres of bins.

real(kind=dp), intent(out), dimension(:), allocatable:: results

Cluster number density in \eqref{eq:nsp}.

real(kind=dp), intent(in), optional :: binsize_base

The edges of the logarithmically distributed bins will be integer powers of this number. Default: 1.5.